Now start at the top of the lines further below and transcribe each line, ending with the one that has "-2.21".

********
# CH4O3PS

A molecular structure, CH4O3PS (ωB97M-V/def2-TZVPD, OMol25).

Structure (XYZ):
```
10
Properties=species:S:1:pos:R:3:forces:R:3
C -1.87569 -0.61125 -1.63344 2.8681 2.5189 0.5255
O 1.52284 1.72249 1.50979 -0.1815 -1.5589 0.0550
O 2.91184 -0.15825 0.72034 -0.0956 -0.1109 0.0359
O 1.30874 -0.56593 2.56121 0.0027 0.6719 -0.7732
P -0.54924 -0.12006 -0.37239 -0.6538 0.0351 -1.5583
S 1.66534 0.23922 1.37153 0.1131 0.8692 0.1592
H -2.00394 -1.65467 -1.75721 -0.2889 -1.0414 -0.3369
H -1.41730 -0.05254 -2.54179 -1.1021 -1.2269 1.0068
H -1.04255 -0.04069 0.91314 -0.7732 0.0663 0.3913
H -0.52004 1.24169 -0.77119 0.1113 -0.2233 0.4948
```
Positions in Å, forces in eV/Å.

- DFT total energy: -1005.70021 hartree
- HOMO level (spin up / spin down): -4.5 / -3.5 eV
- HOMO-LUMO gap (spin up / spin down): 7.720 / 6.286 eV
- Net charge: -1
- ΔE to the lowest compared entry with this formula, charge and spin: 511.6 kJ/mol

----------

DFT (ωB97M-V with the def2-TZVPD basis set) results for a molecular structure, C73H152CoN8O11 in a non-equilibrium geometry.

Computed properties:
* HOMO-LUMO gap (spin up / spin down): 7.24 / 7.30 eV
* <S²>: 3.7590
* DFT total energy: -150216.7420 eV
* 2S+1: 4
* maximum force: 17.7 eV Å⁻¹
* LUMO level (spin up / spin down): -0.01 / 0.05 eV
* energy above the lowest of the compared OMol25 structures with the same formula, charge and spin: 0.000 eV

Each line ends with the Mulliken charge.
CARTESIAN COORDINATES (ANGSTROEM)
Co (16.122, -8.026, 22.253)  1.10
C (15.306, -9.683, 23.498)  0.13
O (16.436, -9.893, 23.049)  -0.99
O (15.443, -8.621, 24.044)  -0.11
O (14.689, -9.488, 22.516)  -0.98
C (21.059, -9.912, 21.316)  -2.07
C (20.539, -8.668, 20.644)  2.34
C (21.284, -8.381, 19.244)  -0.74
C (21.042, -9.471, 18.240)  -1.15
C (19.519, -9.666, 18.019)  -1.43
C (18.573, -9.765, 19.319)  2.12
N (19.053, -8.820, 20.381)  -0.09
O (18.263, -8.765, 21.497)  2.48
C (17.161, -9.448, 18.838)  -1.54
C (18.623, -11.177, 19.775)  -1.59
C (20.862, -7.407, 21.471)  -0.73
H (21.965, -9.782, 21.907)  0.48
H (21.319, -10.828, 20.786)  0.22
H (20.448, -10.327, 22.118)  0.35
H (20.691, -7.568, 18.825)  -0.35
H (22.336, -8.099, 19.292)  0.58
H (21.495, -10.414, 18.546)  0.34
H (21.518, -9.200, 17.299)  0.56
H (19.368, -10.654, 17.584)  0.61
H (19.164, -8.868, 17.367)  0.32
H (16.964, -9.940, 17.885)  0.73
H (16.342, -9.574, 19.546)  -0.47
H (17.134, -8.377, 18.637)  -0.01
H (17.933, -11.382, 20.594)  -0.30
H (18.235, -11.868, 19.027)  0.63
H (19.587, -11.593, 20.069)  0.38
H (21.904, -7.129, 21.624)  0.77
H (20.397, -7.433, 22.456)  -0.56
H (20.430, -6.490, 21.070)  -0.79
H (18.371, -9.645, 21.866)  -0.71
C (22.462, -9.702, 26.339)  -1.86
C (22.120, -8.235, 26.106)  1.89
C (20.623, -8.231, 25.712)  -0.43
C (19.587, -8.446, 26.816)  0.04
C (19.936, -7.491, 27.978)  -2.13
C (21.396, -7.364, 28.437)  2.23
N (22.325, -7.341, 27.271)  0.30
O (23.669, -7.187, 27.742)  -0.52
C (21.439, -6.104, 29.269)  -2.17
C (21.760, -8.543, 29.407)  -1.98
C (22.991, -7.708, 24.909)  -1.66
H (22.205, -10.312, 25.473)  0.31
H (22.068, -10.142, 27.255)  0.29
H (23.544, -9.820, 26.403)  0.41
H (20.254, -7.354, 25.181)  -0.04
H (20.473, -9.030, 24.986)  0.12
H (19.740, -9.460, 27.186)  -0.21
H (18.541, -8.446, 26.510)  0.42
H (19.341, -7.803, 28.837)  0.62
H (19.406, -6.564, 27.759)  0.35
H (22.456, -5.911, 29.612)  0.38
H (21.293, -5.252, 28.605)  0.51
H (20.648, -6.055, 30.017)  0.42
H (22.838, -8.673, 29.504)  0.35
H (21.434, -8.198, 30.388)  0.57
H (21.200, -9.461, 29.231)  0.38
H (22.768, -8.326, 24.039)  0.04
H (24.071, -7.675, 25.054)  0.54
H (22.588, -6.723, 24.671)  0.49
H (23.982, -6.521, 27.126)  0.35
C (17.925, -4.013, 22.342)  -1.94
C (16.912, -4.964, 23.001)  1.99
C (15.982, -4.109, 23.948)  -1.56
C (14.564, -4.644, 24.072)  0.24
C (13.999, -4.534, 22.615)  -1.53
C (14.781, -5.269, 21.466)  1.78
N (16.076, -5.760, 22.046)  0.54
O (16.758, -6.362, 21.090)  2.37
C (13.882, -6.435, 20.973)  -2.21
C (15.015, -4.264, 20.304)  -1.95
********

# CH4O3PS

A molecular structure, CH4O3PS (ωB97M-V/def2-TZVPD, OMol25).

Structure (XYZ):
```
10
Properties=species:S:1:pos:R:3:forces:R:3
C -1.87569 -0.61125 -1.63344 2.8681 2.5189 0.5255
O 1.52284 1.72249 1.50979 -0.1815 -1.5589 0.0550
O 2.91184 -0.15825 0.72034 -0.0956 -0.1109 0.0359
O 1.30874 -0.56593 2.56121 0.0027 0.6719 -0.7732
P -0.54924 -0.12006 -0.37239 -0.6538 0.0351 -1.5583
S 1.66534 0.23922 1.37153 0.1131 0.8692 0.1592
H -2.00394 -1.65467 -1.75721 -0.2889 -1.0414 -0.3369
H -1.41730 -0.05254 -2.54179 -1.1021 -1.2269 1.0068
H -1.04255 -0.04069 0.91314 -0.7732 0.0663 0.3913
H -0.52004 1.24169 -0.77119 0.1113 -0.2233 0.4948
```
Positions in Å, forces in eV/Å.

- DFT total energy: -1005.70021 hartree
- HOMO level (spin up / spin down): -4.5 / -3.5 eV
- HOMO-LUMO gap (spin up / spin down): 7.720 / 6.286 eV
- Net charge: -1
- ΔE to the lowest compared entry with this formula, charge and spin: 511.6 kJ/mol

----------

DFT (ωB97M-V with the def2-TZVPD basis set) results for a molecular structure, C73H152CoN8O11 in a non-equilibrium geometry.

Computed properties:
* HOMO-LUMO gap (spin up / spin down): 7.24 / 7.30 eV
* <S²>: 3.7590
* DFT total energy: -150216.7420 eV
* 2S+1: 4
* maximum force: 17.7 eV Å⁻¹
* LUMO level (spin up / spin down): -0.01 / 0.05 eV
* energy above the lowest of the compared OMol25 structures with the same formula, charge and spin: 0.000 eV

Each line ends with the Mulliken charge.
CARTESIAN COORDINATES (ANGSTROEM)
Co (16.122, -8.026, 22.253)  1.10
C (15.306, -9.683, 23.498)  0.13
O (16.436, -9.893, 23.049)  -0.99
O (15.443, -8.621, 24.044)  -0.11
O (14.689, -9.488, 22.516)  -0.98
C (21.059, -9.912, 21.316)  -2.07
C (20.539, -8.668, 20.644)  2.34
C (21.284, -8.381, 19.244)  -0.74
C (21.042, -9.471, 18.240)  -1.15
C (19.519, -9.666, 18.019)  -1.43
C (18.573, -9.765, 19.319)  2.12
N (19.053, -8.820, 20.381)  -0.09
O (18.263, -8.765, 21.497)  2.48
C (17.161, -9.448, 18.838)  -1.54
C (18.623, -11.177, 19.775)  -1.59
C (20.862, -7.407, 21.471)  -0.73
H (21.965, -9.782, 21.907)  0.48
H (21.319, -10.828, 20.786)  0.22
H (20.448, -10.327, 22.118)  0.35
H (20.691, -7.568, 18.825)  -0.35
H (22.336, -8.099, 19.292)  0.58
H (21.495, -10.414, 18.546)  0.34
H (21.518, -9.200, 17.299)  0.56
H (19.368, -10.654, 17.584)  0.61
H (19.164, -8.868, 17.367)  0.32
H (16.964, -9.940, 17.885)  0.73
H (16.342, -9.574, 19.546)  -0.47
H (17.134, -8.377, 18.637)  -0.01
H (17.933, -11.382, 20.594)  -0.30
H (18.235, -11.868, 19.027)  0.63
H (19.587, -11.593, 20.069)  0.38
H (21.904, -7.129, 21.624)  0.77
H (20.397, -7.433, 22.456)  -0.56
H (20.430, -6.490, 21.070)  -0.79
H (18.371, -9.645, 21.866)  -0.71
C (22.462, -9.702, 26.339)  -1.86
C (22.120, -8.235, 26.106)  1.89
C (20.623, -8.231, 25.712)  -0.43
C (19.587, -8.446, 26.816)  0.04
C (19.936, -7.491, 27.978)  -2.13
C (21.396, -7.364, 28.437)  2.23
N (22.325, -7.341, 27.271)  0.30
O (23.669, -7.187, 27.742)  -0.52
C (21.439, -6.104, 29.269)  -2.17
C (21.760, -8.543, 29.407)  -1.98
C (22.991, -7.708, 24.909)  -1.66
H (22.205, -10.312, 25.473)  0.31
H (22.068, -10.142, 27.255)  0.29
H (23.544, -9.820, 26.403)  0.41
H (20.254, -7.354, 25.181)  -0.04
H (20.473, -9.030, 24.986)  0.12
H (19.740, -9.460, 27.186)  -0.21
H (18.541, -8.446, 26.510)  0.42
H (19.341, -7.803, 28.837)  0.62
H (19.406, -6.564, 27.759)  0.35
H (22.456, -5.911, 29.612)  0.38
H (21.293, -5.252, 28.605)  0.51
H (20.648, -6.055, 30.017)  0.42
H (22.838, -8.673, 29.504)  0.35
H (21.434, -8.198, 30.388)  0.57
H (21.200, -9.461, 29.231)  0.38
H (22.768, -8.326, 24.039)  0.04
H (24.071, -7.675, 25.054)  0.54
H (22.588, -6.723, 24.671)  0.49
H (23.982, -6.521, 27.126)  0.35
C (17.925, -4.013, 22.342)  -1.94
C (16.912, -4.964, 23.001)  1.99
C (15.982, -4.109, 23.948)  -1.56
C (14.564, -4.644, 24.072)  0.24
C (13.999, -4.534, 22.615)  -1.53
C (14.781, -5.269, 21.466)  1.78
N (16.076, -5.760, 22.046)  0.54
O (16.758, -6.362, 21.090)  2.37
C (13.882, -6.435, 20.973)  -2.21